Material >
<<<
Entry 1:
Here is a relaxed BaBiAsBr2 crystal from the Alexandria database. Energies are from PBE. Values from VASP.

Summary:
crystal system	tetragonal
density of states at the Fermi level	1.400	states/eV per atom
energy relative to the lowest polymorph listed for this composition	54.7	kJ per mole of atoms
volume	234	Å³/f.u.
space-group type	P4/mmm, No. 123
spin magnetization	1.097	μB/cell

The structure in Quantum ESPRESSO input format:
```
&SYSTEM
  ibrav = 0, nat = 5, ntyp = 4
/
ATOMIC_SPECIES
As 74.92 As.upf
Bi 208.98 Bi.upf
Br 79.90 Br.upf
Ba 137.33 Ba.upf
ATOMIC_POSITIONS angstrom
As 1.676 2.813 0.264
Bi -1.102 4.199 3.126
Br -0.219 -0.149 2.974
Br -2.559 1.535 -0.112
Ba 0.000 0.000 0.000
CELL_PARAMETERS angstrom
-5.117 3.070 -0.224
-0.439 -0.297 5.948
3.352 5.626 0.529
```

Entry 2:
Here is a relaxed Ta3IrSe crystal from the Alexandria database. Energies are from PBE. Values from VASP.

Summary:
crystal system	cubic
density of states at the Fermi level	1.025	states/eV per atom
energy relative to the lowest polymorph listed for this composition	1.5	kJ per mole of atoms
volume	116	Å³/f.u.
space-group type	Pm-3m, No. 221
spin magnetization	0.000	μB/cell

The structure in Quantum ESPRESSO input format:
```
&SYSTEM
  ibrav = 0, nat = 5, ntyp = 3
/
ATOMIC_SPECIES
Ir 192.22 Ir.upf
Se 78.96 Se.upf
Ta 180.95 Ta.upf
ATOMIC_POSITIONS angstrom
Ir 0.000 0.000 0.000
Se 2.439 2.439 2.439
Ta 0.000 2.439 0.000
Ta 0.000 0.000 2.439
Ta 2.439 0.000 0.000
CELL_PARAMETERS angstrom
4.878 0.000 0.000
0.000 4.878 0.000
0.000 0.000 4.878
```
>>>

Request >
What is needed: restate everything earlier on exactly.

Completed >
Entry 1:
Here is a relaxed BaBiAsBr2 crystal from the Alexandria database. Energies are from PBE. Values from VASP.

Summary:
crystal system	tetragonal
density of states at the Fermi level	1.400	states/eV per atom
energy relative to the lowest polymorph listed for this composition	54.7	kJ per mole of atoms
volume	234	Å³/f.u.
space-group type	P4/mmm, No. 123
spin magnetization	1.097	μB/cell

The structure in Quantum ESPRESSO input format:
```
&SYSTEM
  ibrav = 0, nat = 5, ntyp = 4
/
ATOMIC_SPECIES
As 74.92 As.upf
Bi 208.98 Bi.upf
Br 79.90 Br.upf
Ba 137.33 Ba.upf
ATOMIC_POSITIONS angstrom
As 1.676 2.813 0.264
Bi -1.102 4.199 3.126
Br -0.219 -0.149 2.974
Br -2.559 1.535 -0.112
Ba 0.000 0.000 0.000
CELL_PARAMETERS angstrom
-5.117 3.070 -0.224
-0.439 -0.297 5.948
3.352 5.626 0.529
```

Entry 2:
Here is a relaxed Ta3IrSe crystal from the Alexandria database. Energies are from PBE. Values from VASP.

Summary:
crystal system	cubic
density of states at the Fermi level	1.025	states/eV per atom
energy relative to the lowest polymorph listed for this composition	1.5	kJ per mole of atoms
volume	116	Å³/f.u.
space-group type	Pm-3m, No. 221
spin magnetization	0.000	μB/cell

The structure in Quantum ESPRESSO input format:
```
&SYSTEM
  ibrav = 0, nat = 5, ntyp = 3
/
ATOMIC_SPECIES
Ir 192.22 Ir.upf
Se 78.96 Se.upf
Ta 180.95 Ta.upf
ATOMIC_POSITIONS angstrom
Ir 0.000 0.000 0.000
Se 2.439 2.439 2.439
Ta 0.000 2.439 0.000
Ta 0.000 0.000 2.439
Ta 2.439 0.000 0.000
CELL_PARAMETERS angstrom
4.878 0.000 0.000
0.000 4.878 0.000
0.000 0.000 4.878
```